Like Sex and Chocolate? Culture, Democracy and the Death of the Arts

Date: You need to load the T4EventsCalendar Class 3 Apr 2023
Time: 10:00 - 11:00

Someone pasted crystal structures at this point.
/*
Computed powder diffractogram
Compound: EuZn2Si2
Radiation: Cu Kα (weighted mean of Kα1 and Kα2)
Structure: a PBE-relaxed structure
No peak broadening, texture or thermal motion is included.

Cell and atoms:
```
EuZn2Si2
1.0
-2.1316 2.1316 5.1308
2.1316 -2.1316 5.1308
2.1316 2.1316 -5.1308
Eu Zn Si
1 2 2
direct
0.0000 0.0000 0.0000
0.2500 0.7500 0.5000
0.7500 0.2500 0.5000
0.3841 0.3841 0.0000
0.6159 0.6159 0.0000
```

Top 10 peaks for 5 to 70 degrees two-theta, in order of falling intensity:
| Position (°2θ) | I_rel |
| --- | --- |
| 34.51 | 100 |
| 33.59 | 41 |
| 42.40 | 38 |
| 22.58 | 36 |
| 55.15 | 19 |
| 49.28 | 16 |
| 56.10 | 15 |
| 34.98 | 15 |
| 62.43 | 14 |
| 66.99 | 13 |

----------

Computed powder diffractogram of Ba3NiSb2O9 for Cu Kα, 1.54184 Å, from a GGA+U-relaxed structure.

Peak list (10 most intense, 2θ from 15° to 90°, in order of rising 2θ)
d 3.507, rel. 27
d 2.955, rel. 72
d 2.938, rel. 100
d 2.252, rel. 18
d 2.083, rel. 40
d 1.699, rel. 29
d 1.696, rel. 20
d 1.469, rel. 19
d 1.315, rel. 12
d 1.111, rel. 18

Structural model:
Lattice parameters (Å, degrees): 5.876 5.876 14.520 90.00 90.00 120.00
Sites, in units of the cell vectors:
Ba  0.000  0.000  0.000
Ba  0.000  0.000  0.500
Ba  0.333  0.667  0.166
Ba  0.333  0.667  0.862
Ba  0.667  0.333  0.362
Ba  0.667  0.333  0.666
Ni  0.333  0.667  0.406
Ni  0.667  0.333  0.906
Sb  0.000  0.000  0.258
Sb  0.000  0.000  0.758
Sb  0.333  0.667  0.593
Sb  0.667  0.333  0.093
O  0.023  0.511  0.509
O  0.161  0.323  0.332
O  0.161  0.839  0.332
O  0.165  0.330  0.672
O  0.165  0.835  0.672
O  0.323  0.161  0.832
O  0.330  0.165  0.172
O  0.489  0.511  0.509
O  0.489  0.977  0.509
O  0.511  0.023  0.009
O  0.511  0.489  0.009
O  0.670  0.835  0.672
O  0.677  0.839  0.332
O  0.835  0.165  0.172
O  0.835  0.670  0.172
O  0.839  0.161  0.832
O  0.839  0.677  0.832
O  0.977  0.489  0.009

----------

This entry pairs a crystal structure of Er4PuSi4 with its computed powder diffractogram. Radiation: Cu Kα X-rays. Structure: DFT lattice parameters and positions (PBE).

Peak list (8 most intense, 10° ≤ 2θ ≤ 90°, low angle first)
| d/Å | I (rel.) | index |
| --- | --- | --- |
| 4.792 | 17 | 1 0 1 |
| 3.260 | 100 | 2 1 1 |
| 2.814 | 80 | 1 3 0 |
| 2.753 | 16 | 2 2 1 |
| 2.709 | 35 | 1 0 2 |
| 2.522 | 17 | 3 1 1 |
| 1.990 | 26 | 4 2 0 |
| 1.698 | 28 | 5 0 1 |

```
data_Er4PuSi4
_symmetry_space_group_name_H-M 'P 42/n'
_symmetry_Int_Tables_number 86
_cell_length_a 8.8978
_cell_length_b 8.8978
_cell_length_c 5.6874
_cell_angle_alpha 90.00
_cell_angle_beta 90.00
_cell_angle_gamma 90.00
loop_
_symmetry_equiv_pos_as_xyz
'x,y,z'
'-x,-y,-z'
'-y,x+1/2,z+1/2'
'y,-x+1/2,-z+1/2'
'-x+1/2,-y+1/2,z'
'x+1/2,y+1/2,-z'
'y+1/2,-x,z+1/2'
'-y+1/2,x,-z+1/2'
loop_
_atom_site_label
_atom_site_fract_x
_atom_site_fract_y
_atom_site_fract_z
Er1 0.0731 0.6598 0.1248
Pu1 0.2500 0.2500 0.2500
*/

An in-person lecture by Dr Steven Hadley (TCD) as part of the School of Creative Arts Research Forum.

People working in the cultural sector tell stories. They tell each other stories, they tell themselves stories, and they tell their citizens stories. Indeed, our institutions, structures and policies are based on stories – Lyotardian ‘grand narratives’ – that inform thought, belief and action. The defining crisis of cultural policy has resulted from attempts to combine, articulate and actualise elements of one story in particular – the story of democracy and culture. There is an implicit theoretical relationship between public cultural subsidy and the broadening or democratising of access. Yet consumption of subsidised arts and culture remains heavily socially stratified, and there are significant issues across race, class and gender in the mechanisms of exclusion from cultural occupations. Whilst, as Hadley and Belfiore (2018, p. 218) note, ‘It is the vanity of every age to consider itself in crisis’, there remains a serious question as to whether the policy model of ‘the democratisation of culture’ has failed. The democratisation of culture refers to processes where the ‘official’ culture, typically represented by large and well-funded arts institutions, is made accessible to non-participating communities, often in the belief that it will ‘do them good’. Embedded within this model are vocational occupations - such as those in the arts – that are attractive not so much for their material rewards as for the prestige and ‘psychic income’ (Menger, 1999) they confer. Articulating how art and culture can be realigned with a transformative politics of social value would require the development of new models of culture value which move away from econometrics focused on outputs and production, and significant (r)evolution in the way in which we understand ‘creativity’ as an element of the civic and social sphere. Steven Hadley is an academic, consultant and researcher working internationally in arts management, cultural policy and audience engagement. He is currently a Research Fellow at Trinity College Dublin and a Visiting Lecturer at Leuphana University of Lüneburg (Germany). He previously held research posts at the universities of Galway, Sheffield, Hull and Kings College London. Steven is an Associate Consultant with the Audience Agency, Counterculture and CKI Denmark and sits on the Steering Committee of the Cultural Research Network and the Editorial Board of Arts and the Market. He is also Policy & Reviews Editor for Cultural Trends. Steven has lectured, taught and delivered training in over thirty countries globally and works as a consultant for a wide range of cultural organisations. His recent published work has focussed on cultural democracy and audience engagement. His monograph, Audience Development and Cultural Policy, is published by Palgrave MacMillan. @mancinbelfast The School of Creative Arts Research Forum meets weekly on Mondays from 10am-11am in the Neill Lecture Theatre in Trinity Long Room Hub. The aim of the Forum is to provide a space for School researchers, both staff and postgraduate students, to share their ideas in an informal and supportive environment. It is also an opportunity for the School to hear about the research of colleagues both from within TCD and from outside the university who share our research interests. In line with the research agenda of the School, talks encompass traditional research and practice-based research. Please indicate if you have any access requirements, such as ISL/English interpreting, so that we can facilitate you in attending this event. Contact:

Campus Location

Trinity Long Room Hub Arts and Humanities Research Institute




One-time event

Type of Event

Lectures and Seminars,Public


Postgrad,Faculty & Staff,Public

Next to the piece, the page also holds data records:
<<<
(1)
The following is a calculated powder XRD pattern of NbPb2O4F. It was derived from a structure optimized by DFT (GGA-PBE), using CuKα.
No peak broadening, texture or thermal motion is included.

Principal peaks in the range 10 to 90 degrees two-theta, in order of rising 2θ:
d 3.644, 2θ 24.43, I 100.0
d 3.243, 2θ 27.51, I 65.6
d 2.975, 2θ 30.03, I 77.7
d 2.624, 2θ 34.17, I 33.9
d 2.525, 2θ 35.56, I 74.3
d 1.770, 2θ 51.64, I 31.9

Structural model:
```
data_NbPb2O4F
_chemical_formula_sum 'Nb1 Pb2 O4 F1'
_symmetry_space_group_name_H-M 'P 1'
_symmetry_Int_Tables_number 1
_cell_length_a 6.2231
_cell_length_b 6.2231
_cell_length_c 7.3315
_cell_angle_alpha 119.88
_cell_angle_beta 119.88
_cell_angle_gamma 30.31
loop_
_symmetry_equiv_pos_as_xyz
'x,y,z'
loop_
_atom_site_label
_atom_site_type_symbol
_atom_site_fract_x
_atom_site_fract_y
_atom_site_fract_z
_atom_site_occupancy
Nb1 Nb 0.0000 0.0000 0.0000 1
Pb1 Pb 0.1901 0.1901 0.6688 1
Pb2 Pb 0.8099 0.8099 0.3312 1
O1 O 0.1495 0.1495 0.3053 1
O2 O 0.4105 0.4105 0.0480 1
O3 O 0.5895 0.5895 0.9520 1
O4 O 0.8505 0.8505 0.6947 1
F1 F 0.5000 0.5000 0.5000 1
```

=====

(2)
The following is a calculated powder XRD pattern of Pr2Y2S3. It was derived from a structure optimized by DFT (GGA-PBE), using CuKα.
No peak broadening, texture or thermal motion is included.

Principal peaks in the range 10 to 90 degrees two-theta, in order of rising 2θ:
d 3.281, 2θ 27.18, I 29.3
d 3.234, 2θ 27.58, I 57.4
d 2.854, 2θ 31.34, I 100.0
d 2.741, 2θ 32.67, I 44.3
d 1.983, 2θ 45.75, I 33.0
d 1.970, 2θ 46.07, I 33.1

Structural model:
```
data_Pr2Y2S3
_chemical_formula_sum 'Pr2 Y2 S3'
_symmetry_space_group_name_H-M 'P 1'
_symmetry_Int_Tables_number 1
_cell_length_a 6.9585
_cell_length_b 6.9585
_cell_length_c 6.8561
_cell_angle_alpha 102.09
_cell_angle_beta 102.09
_cell_angle_gamma 33.46
loop_
_symmetry_equiv_pos_as_xyz
'x,y,z'
loop_
_atom_site_label
_atom_site_type_symbol
_atom_site_fract_x
_atom_site_fract_y
_atom_site_fract_z
_atom_site_occupancy
Pr1 Pr 0.1232 0.1232 0.3621 1
Pr2 Pr 0.8768 0.8768 0.6379 1
Y1 Y 0.3698 0.3698 0.1326 1
Y2 Y 0.6302 0.6302 0.8674 1
S1 S 0.2461 0.2461 0.7588 1
S2 S 0.5000 0.5000 0.5000 1
S3 S 0.7539 0.7539 0.2412 1
```

* * * * *

Starting from a DFT-relaxed cell (GGA-PBE, Alexandria), the powder XRD pattern of DyPuCoPd was computed for Cu Ka.
Intensities are scaled so that the largest is 100.

Peak list (8 most intense, 10 to 80 degrees two-theta, most intense first)
2.428 Å, intensity 100; 1.402 Å, intensity 36; 3.434 Å, intensity 19; 1.717 Å, intensity 18; 1.214 Å, intensity 11; 1.536 Å, intensity 8; 1.982 Å, intensity 6; 3.965 Å, intensity 5

Lattice parameters (Å, degrees): 4.856 4.856 4.856 60.00 60.00 60.00
Sites, in units of the cell vectors:
Dy: 0.000 0.000 0.000
Pu: 0.500 0.500 0.500
Co: 0.250 0.250 0.250
Pd: 0.750 0.750 0.750

* * * * *

For CaMnP2O7, a DFT-relaxed cell (GGA+U, the Materials Project) gives the theoretical XRD peak list in this record (Cu Kα X-rays).
>>>
The piece goes on:

Contact Name

Dr Scotty McQueen

Contact Email




Neill Lecture Theatre

